Exercise >
Retype the lines further down from the one with "2.481 2.119" to the one with "2.811 1.376" without altering anything.
Data >
/*
Arrangement a

First-principles (PBE+U) data for an optimized crystal structure of LiMnPO5, as listed in the Materials Project database.

```
32
Lattice="-2.826 4.052 1.559 -0.014 -0.015 6.938 9.286 3.710 2.368" Properties=species:S:1:pos:R:3 pbc="T T T"
Li 3.606 6.353 3.649
P 2.994 1.194 3.777
O 5.031 3.278 5.056
P 0.229 2.679 1.655
O 5.189 3.923 8.972
O 3.218 5.752 8.395
O 7.306 3.646 5.766
Mn -2.833 4.044 5.028
O 3.966 5.628 5.934
Mn 3.223 3.873 5.433
O 5.717 6.007 3.425
Mn 3.216 3.866 8.901
O 6.580 7.132 5.657
O 2.481 2.119 4.931
O 1.416 4.469 5.809
O 3.103 4.503 3.702
Li 0.370 2.464 5.155
O 6.450 5.868 7.902
O 3.227 1.995 2.471
O 7.478 4.305 2.744
P 6.217 5.068 9.209
O 3.343 3.244 7.163
O 1.256 3.824 1.893
P 3.453 6.552 7.087
Li 6.076 5.283 5.710
O -1.032 3.440 8.120
Li 2.840 1.395 7.216
O 0.730 1.739 7.439
O -0.004 1.878 2.962
O -0.859 4.101 5.098
Mn 6.460 7.762 3.926
O -0.134 0.614 5.207
```

***

Arrangement b

First-principles (PBE+U) data for an optimized crystal structure of LiMnPO5, as listed in the Materials Project database.

```
64
Lattice="12.353 0.000 0.000 0.000 6.108 0.000 0.000 0.000 10.431" Properties=species:S:1:pos:R:3 pbc="T T T"
Li 1.356 1.230 0.000
Li 2.135 4.430 7.549
Li 4.041 1.376 2.333
Li 4.821 4.284 5.216
Li 7.532 1.824 0.000
Li 8.311 4.731 7.549
Li 10.218 1.677 2.333
Li 10.997 4.878 5.216
Mn 1.568 6.067 4.238
Mn 3.058 4.538 1.595
Mn 3.119 1.484 6.811
Mn 4.608 3.013 9.454
Mn 7.745 3.095 4.238
Mn 9.234 4.624 1.595
Mn 9.295 1.570 6.811
Mn 10.785 0.041 9.454
P 0.015 0.985 6.863
P 2.312 3.013 4.227
P 3.864 6.067 9.443
P 6.161 4.039 1.647
P 6.191 2.069 6.863
P 8.489 0.041 4.227
P 10.041 3.095 9.443
P 12.338 5.123 1.647
O 0.056 5.961 2.940
O 0.107 6.098 5.672
O 1.187 4.156 1.481
O 1.243 1.937 6.903
O 1.365 4.188 4.465
O 1.390 1.820 4.018
O 2.853 0.051 5.588
O 2.853 5.946 2.892
O 2.871 5.923 0.213
O 2.905 0.139 8.222
O 3.272 3.193 3.006
O 3.305 2.869 5.429
O 3.323 2.892 8.108
O 3.323 3.105 0.372
O 4.786 4.874 9.234
O 4.812 1.134 9.681
O 4.933 4.990 1.688
O 4.990 1.102 6.696
O 6.069 3.044 0.456
O 6.120 2.907 8.156
O 6.233 3.200 2.940
O 6.284 3.064 5.672
O 7.363 5.006 1.481
O 7.420 1.117 6.903
O 7.541 4.973 4.465
O 7.566 1.234 4.018
O 9.029 3.003 5.588
O 9.030 3.216 2.892
O 9.047 3.239 0.213
O 9.081 2.915 8.222
O 9.448 5.969 3.006
O 9.482 0.185 5.429
O 9.500 0.162 8.108
O 9.500 6.057 0.372
O 10.963 4.288 9.234
O 10.988 1.919 9.681
O 11.110 4.171 1.688
O 11.166 1.952 6.696
O 12.246 0.010 0.456
O 12.297 0.147 8.156
```

Values from the calculation:
As for the space group: Pna2_1.

***

Arrangement c

First-principles (PBE+U) data for an optimized crystal structure of LiMnPO5, as listed in the Materials Project database.

```
32
Lattice="7.166 0.000 0.000 0.000 7.816 0.000 -3.415 0.000 6.126" Properties=species:S:1:pos:R:3 pbc="T T T"
Li 0.816 0.473 1.729
Li -0.891 3.435 4.791
Li 4.642 4.381 1.334
Li 2.935 7.343 4.397
Mn 0.085 5.844 3.062
Mn -1.622 5.880 6.125
Mn 5.373 1.936 0.000
Mn 3.666 1.972 3.063
P -0.768 0.823 4.587
P 0.940 3.085 1.524
P 2.811 4.731 4.602
P 4.519 6.993 1.539
O -1.773 1.852 3.993
O -0.066 2.056 0.930
O 0.259 3.951 2.605
O -1.448 7.772 5.668
O -0.768 5.284 4.602
O 0.940 6.440 1.539
O 1.612 3.946 0.426
O -0.096 7.778 3.488
O 0.241 1.843 5.190
O 1.948 2.065 2.127
O 1.803 5.751 3.999
O 3.510 5.973 0.936
O 3.847 0.038 2.637
O 2.139 3.870 5.700
O 2.811 1.376 4.587
O 4.519 2.532 1.524
O 5.199 0.043 0.458
O 3.492 3.865 3.521
O 3.817 5.760 5.195
O 5.524 5.964 2.133
```

Values from the calculation:
As for the space group: P2_1/c.

***

Arrangement d

First-principles (PBE+U) data for an optimized crystal structure of LiMnPO5, as listed in the Materials Project database.

```
32
Lattice="6.120 0.000 0.000 0.000 7.830 0.000 -0.011 0.000 7.593" Properties=species:S:1:pos:R:3 pbc="T T T"
Li 1.529 1.331 1.064
Li 1.524 2.584 4.861
Li 4.585 5.246 2.732
Li 4.580 6.499 6.529
Mn -0.005 0.000 3.797
Mn 0.000 3.915 0.000
Mn 3.054 0.000 3.797
Mn 3.060 3.915 0.000
P 1.525 5.213 2.793
P 1.520 6.532 6.590
*/
Worked solution >
O 2.481 2.119 4.931
O 1.416 4.469 5.809
O 3.103 4.503 3.702
Li 0.370 2.464 5.155
O 6.450 5.868 7.902
O 3.227 1.995 2.471
O 7.478 4.305 2.744
P 6.217 5.068 9.209
O 3.343 3.244 7.163
O 1.256 3.824 1.893
P 3.453 6.552 7.087
Li 6.076 5.283 5.710
O -1.032 3.440 8.120
Li 2.840 1.395 7.216
O 0.730 1.739 7.439
O -0.004 1.878 2.962
O -0.859 4.101 5.098
Mn 6.460 7.762 3.926
O -0.134 0.614 5.207
```

***

Arrangement b

First-principles (PBE+U) data for an optimized crystal structure of LiMnPO5, as listed in the Materials Project database.

```
64
Lattice="12.353 0.000 0.000 0.000 6.108 0.000 0.000 0.000 10.431" Properties=species:S:1:pos:R:3 pbc="T T T"
Li 1.356 1.230 0.000
Li 2.135 4.430 7.549
Li 4.041 1.376 2.333
Li 4.821 4.284 5.216
Li 7.532 1.824 0.000
Li 8.311 4.731 7.549
Li 10.218 1.677 2.333
Li 10.997 4.878 5.216
Mn 1.568 6.067 4.238
Mn 3.058 4.538 1.595
Mn 3.119 1.484 6.811
Mn 4.608 3.013 9.454
Mn 7.745 3.095 4.238
Mn 9.234 4.624 1.595
Mn 9.295 1.570 6.811
Mn 10.785 0.041 9.454
P 0.015 0.985 6.863
P 2.312 3.013 4.227
P 3.864 6.067 9.443
P 6.161 4.039 1.647
P 6.191 2.069 6.863
P 8.489 0.041 4.227
P 10.041 3.095 9.443
P 12.338 5.123 1.647
O 0.056 5.961 2.940
O 0.107 6.098 5.672
O 1.187 4.156 1.481
O 1.243 1.937 6.903
O 1.365 4.188 4.465
O 1.390 1.820 4.018
O 2.853 0.051 5.588
O 2.853 5.946 2.892
O 2.871 5.923 0.213
O 2.905 0.139 8.222
O 3.272 3.193 3.006
O 3.305 2.869 5.429
O 3.323 2.892 8.108
O 3.323 3.105 0.372
O 4.786 4.874 9.234
O 4.812 1.134 9.681
O 4.933 4.990 1.688
O 4.990 1.102 6.696
O 6.069 3.044 0.456
O 6.120 2.907 8.156
O 6.233 3.200 2.940
O 6.284 3.064 5.672
O 7.363 5.006 1.481
O 7.420 1.117 6.903
O 7.541 4.973 4.465
O 7.566 1.234 4.018
O 9.029 3.003 5.588
O 9.030 3.216 2.892
O 9.047 3.239 0.213
O 9.081 2.915 8.222
O 9.448 5.969 3.006
O 9.482 0.185 5.429
O 9.500 0.162 8.108
O 9.500 6.057 0.372
O 10.963 4.288 9.234
O 10.988 1.919 9.681
O 11.110 4.171 1.688
O 11.166 1.952 6.696
O 12.246 0.010 0.456
O 12.297 0.147 8.156
```

Values from the calculation:
As for the space group: Pna2_1.

***

Arrangement c

First-principles (PBE+U) data for an optimized crystal structure of LiMnPO5, as listed in the Materials Project database.

```
32
Lattice="7.166 0.000 0.000 0.000 7.816 0.000 -3.415 0.000 6.126" Properties=species:S:1:pos:R:3 pbc="T T T"
Li 0.816 0.473 1.729
Li -0.891 3.435 4.791
Li 4.642 4.381 1.334
Li 2.935 7.343 4.397
Mn 0.085 5.844 3.062
Mn -1.622 5.880 6.125
Mn 5.373 1.936 0.000
Mn 3.666 1.972 3.063
P -0.768 0.823 4.587
P 0.940 3.085 1.524
P 2.811 4.731 4.602
P 4.519 6.993 1.539
O -1.773 1.852 3.993
O -0.066 2.056 0.930
O 0.259 3.951 2.605
O -1.448 7.772 5.668
O -0.768 5.284 4.602
O 0.940 6.440 1.539
O 1.612 3.946 0.426
O -0.096 7.778 3.488
O 0.241 1.843 5.190
O 1.948 2.065 2.127
O 1.803 5.751 3.999
O 3.510 5.973 0.936
O 3.847 0.038 2.637
O 2.139 3.870 5.700
O 2.811 1.376 4.587